== Contents ==
/*
1.
Density functional theory data (meta-GGA r2SCAN) for crystalline NiBi at its relaxed geometry.

crystal system = triclinic
energy relative to the elements = 0.034 eV per atom
theoretical density = 11430 kg/m3

Structure (extended XYZ):
```
32
Lattice="-3.025 0.524 -7.593 1.721 -7.336 3.220 -10.598 -4.009 1.713" Properties=species:S:1:pos:R:3 pbc="T T T"
Bi -5.083 -4.641 -2.689
Bi -4.268 -8.366 -1.078
Bi -11.586 -4.728 -4.553
Bi -2.728 -8.659 2.661
Bi -8.265 -5.981 -3.593
Bi -7.512 -9.353 -2.100
Bi -1.243 -2.504 0.134
Bi -6.911 -6.223 -0.090
Bi -10.090 -5.174 -0.778
Bi -3.573 -4.921 1.040
Bi -9.308 -8.545 0.705
Bi -7.632 -2.470 -1.563
Bi -0.358 -6.105 1.921
Bi -2.630 -2.286 -3.339
Bi -1.847 -5.648 -1.882
Bi -10.692 -8.306 -2.787
Ni -3.724 -6.992 -3.369
Ni -8.125 -3.844 0.711
Ni -6.060 -5.080 2.030
Ni -7.167 -3.526 -4.073
Ni 0.856 -3.675 1.604
Ni -8.451 -9.968 2.657
Ni -5.655 -3.742 -0.176
Ni -4.766 -7.300 1.432
Ni -4.642 -3.234 -4.988
Ni -13.611 -3.481 -5.881
Ni -3.443 -0.859 -5.308
Ni -7.243 -7.564 2.321
Ni -9.601 -3.558 -3.041
Ni -10.388 -11.076 1.141
Ni -2.291 -7.272 0.351
Ni -6.139 -7.082 -2.514
```

2.
Density functional theory data (meta-GGA r2SCAN) for crystalline NiBiO3 at its relaxed geometry.

crystal system = trigonal
energy relative to the elements = -1.184 eV per atom
theoretical density = 9234 kg/m3

Structure (extended XYZ):
```
10
Lattice="3.671 -2.554 3.119 1.112 4.935 -2.033 -0.894 -0.623 5.307" Properties=species:S:1:pos:R:3 pbc="T T T"
O 0.290 0.236 4.012
O 2.469 -0.911 3.002
O 3.542 1.361 2.339
O 1.160 0.753 1.497
O 2.904 0.980 4.895
O 1.397 2.754 3.237
Bi 2.209 -0.986 6.123
Bi 1.366 3.080 0.914
Ni 1.918 0.908 3.251
Ni 3.617 -2.495 3.230
```


(1)
20
Lattice="7.8169 0.0000 0.0000 0.0000 6.3659 0.0000 0.0000 0.0000 6.4764" Properties=species:S:1:pos:R:3 comment="SrZnSe2O6 (PBE, relaxed)" e_above_lowest_polymorph_mev_per_atom=181.3 magmom_total_mub_per_cell=0.000 pbc="T T T"
Sr 0.0000 1.4821 0.0000
Sr 0.0000 4.8838 3.2382
Zn 3.9084 2.1774 0.5686
Zn 3.9084 4.1884 3.8068
Se 1.9007 1.7891 2.6370
Se 1.9007 4.5768 5.8752
Se 5.9162 1.7891 2.6370
Se 5.9162 4.5768 5.8752
O 0.0000 0.9482 2.5701
O 0.0000 5.4176 5.8083
O 1.4082 3.0928 5.2321
O 1.4082 3.2731 1.9939
O 2.3469 0.9892 1.1404
O 2.3469 5.3766 4.3786
O 3.9084 2.6508 2.6623
O 3.9084 3.7151 5.9005
O 5.4699 0.9892 1.1404
O 5.4699 5.3766 4.3786
O 6.4087 3.0928 5.2321
O 6.4087 3.2731 1.9939

---

(2)
40
Lattice="4.5802 0.0000 0.0000 0.0000 15.1729 0.0000 -3.6904 0.0000 9.4929" Properties=species:S:1:pos:R:3 comment="SrZnSe2O6 (PBE, relaxed)" e_above_lowest_polymorph_mev_per_atom=0.0 magmom_total_mub_per_cell=0.000 pbc="T T T"
Sr -0.7216 1.7701 4.3594
Sr -2.5668 5.8163 9.1058
Sr 3.4566 9.3566 0.3871
Sr 1.6114 13.4028 5.1336
Zn -2.8322 2.2960 7.3792
Zn -0.9870 5.2905 2.6327
Zn 1.8768 9.8824 6.8602
Zn 3.7220 12.8769 2.1137
Se -0.9684 10.5853 4.1436
Se -2.8136 12.1740 8.8900
Se -0.4913 7.6654 6.8400
Se 1.3539 15.0940 2.0936
Se -0.4640 0.0789 7.3994
Se 1.3812 7.5075 2.6529
Se 3.7035 2.9989 0.6029
Se 1.8583 4.5876 5.3493
O -3.1193 3.1792 9.1273
O -1.2741 4.4072 4.3809
O -2.2093 7.8870 6.8395
O -0.3641 14.8723 2.0930
O -0.2562 2.8453 2.1722
O -2.1014 4.7411 6.9187
O -2.3813 10.4683 8.7917
O -0.5361 12.2910 4.0452
O 1.1344 8.1072 1.0492
O -0.7108 14.6521 5.7957
O -0.8666 1.7684 7.1814
O 0.9786 5.8180 2.4350
O -0.0888 9.3549 7.0580
O 1.7564 13.4045 2.3115
O 1.6007 0.5208 3.6972
O -0.2446 7.0657 8.4437
O 1.4259 2.8819 5.4477
O 3.2712 4.7046 0.7013
O 2.9912 10.4318 2.5743
O 1.1460 12.3276 7.3207
O 1.2539 0.3006 7.3999
O 3.0991 7.2859 2.6534
O 2.1639 10.7657 5.1120
O 4.0091 11.9937 0.3656

---

(3)
50
Lattice="6.2801 -3.5029 0.0000 6.2801 3.5029 0.0000 -3.3780 0.0000 19.4580" Properties=species:S:1:pos:R:3 comment="Tb2Se3O20 (PBE, relaxed)" magmom_total_mub_per_cell=32.000 pbc="T T T"
Tb 0.6895 0.1230 7.6467
Tb -0.9995 -0.1230 17.3757
Tb 10.1818 0.1230 2.0823
Tb 8.4928 -0.1230 11.8113
Se 2.2902 0.1978 1.6344
Se 0.6012 -0.1978 11.3634
Se 3.7466 1.4946 14.5935
*/

== Activity ==
The reader should restate everything further above without altering anything.

== Solution ==
1.
Density functional theory data (meta-GGA r2SCAN) for crystalline NiBi at its relaxed geometry.

crystal system = triclinic
energy relative to the elements = 0.034 eV per atom
theoretical density = 11430 kg/m3

Structure (extended XYZ):
```
32
Lattice="-3.025 0.524 -7.593 1.721 -7.336 3.220 -10.598 -4.009 1.713" Properties=species:S:1:pos:R:3 pbc="T T T"
Bi -5.083 -4.641 -2.689
Bi -4.268 -8.366 -1.078
Bi -11.586 -4.728 -4.553
Bi -2.728 -8.659 2.661
Bi -8.265 -5.981 -3.593
Bi -7.512 -9.353 -2.100
Bi -1.243 -2.504 0.134
Bi -6.911 -6.223 -0.090
Bi -10.090 -5.174 -0.778
Bi -3.573 -4.921 1.040
Bi -9.308 -8.545 0.705
Bi -7.632 -2.470 -1.563
Bi -0.358 -6.105 1.921
Bi -2.630 -2.286 -3.339
Bi -1.847 -5.648 -1.882
Bi -10.692 -8.306 -2.787
Ni -3.724 -6.992 -3.369
Ni -8.125 -3.844 0.711
Ni -6.060 -5.080 2.030
Ni -7.167 -3.526 -4.073
Ni 0.856 -3.675 1.604
Ni -8.451 -9.968 2.657
Ni -5.655 -3.742 -0.176
Ni -4.766 -7.300 1.432
Ni -4.642 -3.234 -4.988
Ni -13.611 -3.481 -5.881
Ni -3.443 -0.859 -5.308
Ni -7.243 -7.564 2.321
Ni -9.601 -3.558 -3.041
Ni -10.388 -11.076 1.141
Ni -2.291 -7.272 0.351
Ni -6.139 -7.082 -2.514
```

2.
Density functional theory data (meta-GGA r2SCAN) for crystalline NiBiO3 at its relaxed geometry.

crystal system = trigonal
energy relative to the elements = -1.184 eV per atom
theoretical density = 9234 kg/m3

Structure (extended XYZ):
```
10
Lattice="3.671 -2.554 3.119 1.112 4.935 -2.033 -0.894 -0.623 5.307" Properties=species:S:1:pos:R:3 pbc="T T T"
O 0.290 0.236 4.012
O 2.469 -0.911 3.002
O 3.542 1.361 2.339
O 1.160 0.753 1.497
O 2.904 0.980 4.895
O 1.397 2.754 3.237
Bi 2.209 -0.986 6.123
Bi 1.366 3.080 0.914
Ni 1.918 0.908 3.251
Ni 3.617 -2.495 3.230
```


(1)
20
Lattice="7.8169 0.0000 0.0000 0.0000 6.3659 0.0000 0.0000 0.0000 6.4764" Properties=species:S:1:pos:R:3 comment="SrZnSe2O6 (PBE, relaxed)" e_above_lowest_polymorph_mev_per_atom=181.3 magmom_total_mub_per_cell=0.000 pbc="T T T"
Sr 0.0000 1.4821 0.0000
Sr 0.0000 4.8838 3.2382
Zn 3.9084 2.1774 0.5686
Zn 3.9084 4.1884 3.8068
Se 1.9007 1.7891 2.6370
Se 1.9007 4.5768 5.8752
Se 5.9162 1.7891 2.6370
Se 5.9162 4.5768 5.8752
O 0.0000 0.9482 2.5701
O 0.0000 5.4176 5.8083
O 1.4082 3.0928 5.2321
O 1.4082 3.2731 1.9939
O 2.3469 0.9892 1.1404
O 2.3469 5.3766 4.3786
O 3.9084 2.6508 2.6623
O 3.9084 3.7151 5.9005
O 5.4699 0.9892 1.1404
O 5.4699 5.3766 4.3786
O 6.4087 3.0928 5.2321
O 6.4087 3.2731 1.9939

---

(2)
40
Lattice="4.5802 0.0000 0.0000 0.0000 15.1729 0.0000 -3.6904 0.0000 9.4929" Properties=species:S:1:pos:R:3 comment="SrZnSe2O6 (PBE, relaxed)" e_above_lowest_polymorph_mev_per_atom=0.0 magmom_total_mub_per_cell=0.000 pbc="T T T"
Sr -0.7216 1.7701 4.3594
Sr -2.5668 5.8163 9.1058
Sr 3.4566 9.3566 0.3871
Sr 1.6114 13.4028 5.1336
Zn -2.8322 2.2960 7.3792
Zn -0.9870 5.2905 2.6327
Zn 1.8768 9.8824 6.8602
Zn 3.7220 12.8769 2.1137
Se -0.9684 10.5853 4.1436
Se -2.8136 12.1740 8.8900
Se -0.4913 7.6654 6.8400
Se 1.3539 15.0940 2.0936
Se -0.4640 0.0789 7.3994
Se 1.3812 7.5075 2.6529
Se 3.7035 2.9989 0.6029
Se 1.8583 4.5876 5.3493
O -3.1193 3.1792 9.1273
O -1.2741 4.4072 4.3809
O -2.2093 7.8870 6.8395
O -0.3641 14.8723 2.0930
O -0.2562 2.8453 2.1722
O -2.1014 4.7411 6.9187
O -2.3813 10.4683 8.7917
O -0.5361 12.2910 4.0452
O 1.1344 8.1072 1.0492
O -0.7108 14.6521 5.7957
O -0.8666 1.7684 7.1814
O 0.9786 5.8180 2.4350
O -0.0888 9.3549 7.0580
O 1.7564 13.4045 2.3115
O 1.6007 0.5208 3.6972
O -0.2446 7.0657 8.4437
O 1.4259 2.8819 5.4477
O 3.2712 4.7046 0.7013
O 2.9912 10.4318 2.5743
O 1.1460 12.3276 7.3207
O 1.2539 0.3006 7.3999
O 3.0991 7.2859 2.6534
O 2.1639 10.7657 5.1120
O 4.0091 11.9937 0.3656

---

(3)
50
Lattice="6.2801 -3.5029 0.0000 6.2801 3.5029 0.0000 -3.3780 0.0000 19.4580" Properties=species:S:1:pos:R:3 comment="Tb2Se3O20 (PBE, relaxed)" magmom_total_mub_per_cell=32.000 pbc="T T T"
Tb 0.6895 0.1230 7.6467
Tb -0.9995 -0.1230 17.3757
Tb 10.1818 0.1230 2.0823
Tb 8.4928 -0.1230 11.8113
Se 2.2902 0.1978 1.6344
Se 0.6012 -0.1978 11.3634
Se 3.7466 1.4946 14.5935